How Long Do Golf Cart Batteries Last?

Wide shot of a rolling golf course with a golf car sitting on the fairway.

A golf cart battery can last anywhere from five to 10 years. A lot of this will depend on how often you use it and how well you take care of it.

Electric golf carts are becoming much more popular and for good reason — they offer a sustainable, effective alternative to gas-guzzling gas carts. 

Still, electric carts can pose some more complicated issues — like dealing with a battery replacement. It can be challenging trying to figure out when to replace a battery or how long you’ll be able to rely on the one you already have.

In this article, we’ll take a look at how often you should change your golf cart battery, the factors that may be affecting its lifespan and strategies to help you extend your golf cart battery’s life. 

____________
Here is a molecular structure, C8H15Br3FO5STl in a non-equilibrium geometry from the OMol25 dataset. Energies are from wB97M-V/def2-TZVPD.

Structure (ORCA input):
```
! RIJCOSX wB97M-V def2-TZVPD def2/J DEFGRID3
* xyz 2 1
Tl 19.706 -13.020 -5.994
Br 15.400 -11.049 -10.195
Br 15.518 -13.384 -12.423
Br 17.004 -10.479 -12.864
S 19.874 -16.252 -8.994
F 18.334 -12.365 -8.491
O 14.811 -14.884 -5.946
O 20.817 -17.372 -9.069
O 16.962 -14.377 -6.090
O 18.697 -16.416 -10.086
O 19.201 -15.962 -7.722
C 13.561 -14.274 -6.319
C 17.752 -15.368 -10.289
C 16.497 -11.873 -11.558
C 16.429 -16.009 -10.217
C 15.842 -14.213 -6.516
C 13.913 -13.699 -7.752
C 20.593 -14.735 -9.762
C 15.389 -13.285 -7.625
H 15.608 -15.302 -10.333
H 21.456 -14.547 -9.123
H 15.919 -13.435 -8.566
H 17.387 -12.333 -11.129
H 16.383 -16.853 -10.905
H 15.582 -12.268 -7.284
H 16.385 -16.463 -9.227
H 13.857 -14.418 -8.570
H 21.016 -15.023 -10.725
H 17.786 -14.574 -9.544
H 19.911 -13.892 -9.659
H 13.321 -12.822 -8.014
H 12.791 -15.034 -6.451
H 17.904 -14.934 -11.277
H 13.237 -13.536 -5.585
*
```

Its HOMO-LUMO gap is 2.8 eV. The value obtained for the HOMO energy is -16.682 eV. Its relative energy (zero: lowest compared OMol25 entry of this formula, charge and spin) is 14.41 kJ/mol.

These are the Mulliken partial charges, in e, on atoms 1 to 6: atom 1 (Tl): 0.927, atom 2 (Br): 0.308, atom 3 (Br): 0.161, atom 4 (Br): 0.223, atom 5 (S): 1.087, atom 6 (F): -0.481

Here is 2 unconnected molecules or ions with the total composition C21H39BN3O6 in a non-equilibrium geometry from the OMol25 dataset. Energies are from wB97M-V/def2-TZVPD.

Structure (ORCA input):
```
! RIJCOSX wB97M-V def2-TZVPD def2/J DEFGRID3
* xyz 0 2
O 0.704 1.028 4.351
O 1.584 -2.925 -1.137
O -4.118 0.372 -0.233
O -2.415 1.757 -1.070
O -2.188 -0.214 1.394
O -3.287 -1.966 0.024
N 0.146 3.026 3.027
N -4.262 2.828 0.146
N 2.489 -1.994 -1.583
C -6.260 2.155 1.945
C -3.506 1.697 -0.410
C -1.094 3.302 3.817
C 1.254 4.009 3.318
C -3.411 4.000 0.523
C -2.718 -3.870 1.652
C 3.668 -2.732 -2.140
C 4.147 -3.883 -1.209
C -3.785 -2.744 1.181
C 4.888 -1.775 -2.211
C 0.418 -0.576 -1.939
C 1.502 -1.720 -3.900
C -5.229 2.436 1.181
C -2.110 3.672 1.408
C -2.429 3.071 2.884
C 1.304 0.870 1.950
C 1.770 -1.076 -2.521
C 2.742 -2.362 -4.510
C 3.387 -3.340 -3.536
C 2.582 0.230 -2.711
C 0.668 1.651 3.240
B -3.189 -0.547 0.393
H -1.583 4.698 1.600
H -3.138 4.551 -0.468
H -2.101 -3.540 2.587
H 1.105 -0.971 -4.594
H -2.685 -0.273 2.260
H 1.787 4.289 2.317
H 3.420 -4.697 -1.137
H 5.011 -1.317 -3.195
H -0.026 0.191 -2.582
H 2.727 -4.210 -3.435
H -1.305 3.035 0.858
H 4.819 -0.978 -1.465
H 4.320 -3.717 -3.973
H 0.723 -2.488 -3.806
H 0.886 4.997 3.772
H 3.458 -1.593 -4.816
H -7.205 1.860 2.531
____________

Factors that May Affect Your Golf Cart Battery 

There are a variety of different factors to think about when it comes to your golf cart battery. Aspects such as age, storage, battery quality and driving habits can all impact how your battery operates. It’s important to understand how those factors contribute to your battery’s lifespan so that you can keep it in mind for future reference. 


The age of your battery is one of the most significant factors when it comes to your battery’s lifespan. Once your battery gets to the end of its life, it can start to develop problems or even fail to work. When you’re figuring out how much time your golf cart battery has left, it can be helpful to check the age of your battery. This may give you insight into when you’ll be needing your next replacement. 


You should also consider where you’re keeping your golf cart. If your golf cart battery is constantly being exposed to very high temperatures, this could eventually start to diminish its lifespan. Likewise, freezing temperatures can have an adverse effect.

When not in use, it’s best to store golf carts in a cool area to ensure the battery isn’t being harmed. 

Battery Quality 

Where are you getting your battery from? A trusted brand name will likely function better than a used electric cart you bought from a stranger. Be sure to find a provider that you can trust and try to find a battery that isn’t too far along in its life cycle.


How often you drive your golf cart can have a huge impact on your battery quality. If you’re just it using for a round or so a week, it will likely last a long time. But if you’re taking it out every day and driving it around the course, you may need to estimate a shorter life span for your battery. 

Driving Habits 

Along with usage, how you drive your golf cart will also be significant. If you’re slow and gentle, the battery will thank you and likely last longer. If you’re constantly going at top speeds, the lifespan may be reduced greatly. 

Improper Maintenance 

Be sure to keep up with battery maintenance and fix issues when they arise — any lingering problems can become major and eventually start to affect the battery. 


Be wary of how much you’re charging your golf cart battery, too — if you overcharge, it may actually harm the battery. Keep an eye on how long you should charge your battery so that you can be confident you aren’t doing any harm.

**Unrelated to this article: quantum chemistry results:**
Record 1
Formula: C5H13NO
Source: the Open Molecules 2025 dataset
Level of theory: ωB97M-V/def2-TZVPD

Geometry as XYZ:
```
20
Properties=species:S:1:pos:R:3:forces:R:3
C -2.05096 1.77572 0.92481 0.4 0.7 0.3
C -2.41912 0.32307 0.80697 0.4 -0.4 -0.8
N -1.52828 -0.54270 1.38035 0.7 0.2 0.5
O -3.39081 -0.05304 0.19176 -0.3 -0.1 0.1
H -2.27655 2.16113 1.91464 -0.3 0.0 0.2
H -2.57980 2.37964 0.19403 -0.2 -0.2 0.0
H -0.98388 1.99288 0.81006 0.0 -0.4 -0.2
H -1.51362 -1.53335 1.20944 -0.6 0.0 -0.2
H -0.63433 -0.18315 1.67160 -0.1 0.1 0.1
C 0.62176 -1.28438 -1.35900 1.3 -1.2 1.3
C 1.99905 -0.98863 -0.71863 -0.1 -0.3 -0.3
C 2.16504 0.49831 -0.41724 0.4 -0.2 0.0
H 0.72649 -0.98311 -2.39139 -0.9 0.2 -0.2
H -0.16234 -0.87290 -0.73235 -0.2 0.7 -0.6
H 0.42962 -2.36490 -1.25509 0.2 0.2 -0.6
H 2.16304 -1.62216 0.14909 -0.2 0.2 0.5
H 2.78752 -1.34221 -1.39044 -0.1 0.2 -0.2
H 1.69292 0.75965 0.52450 -0.4 0.1 0.0
H 3.20957 0.78696 -0.27394 0.0 -0.1 -0.2
H 1.74467 1.09317 -1.23918 0.1 0.0 0.3
```
Positions in Å, forces in eV/Å.

Computed properties:
**Max |F|**: 2.2 eV Å⁻¹
**E_tot**: -328.30786 a.u.
**Energy above the lowest of the compared OMol25 structures with the same formula, charge and spin**: 0.299 eV
**Gap between HOMO and LUMO**: 10.6838 eV

Mulliken atomic charge list, values in e, 8 entries:
1 C -0.978
2 C 0.716
3 N -0.437
4 O -0.614
5 H 0.310
6 H 0.301
7 H 0.259
8 H 0.251

Record 2
Formula: C6H14NO
Source: the Open Molecules 2025 dataset
Level of theory: ωB97M-V/def2-TZVPD

Geometry as XYZ:
```
22
Properties=species:S:1:pos:R:3:forces:R:3
C 2.41188 1.63397 -2.59360 -0.3 0.1 0.4
C 1.91507 1.74482 -1.17934 -0.9 -0.6 0.0
C 1.17969 0.74122 -0.56592 1.3 0.4 0.4
N 0.74204 0.96525 0.81283 -0.1 -0.2 -0.8
H 2.34717 0.60068 -2.93194 0.0 -0.1 -0.1
H 1.83286 2.24714 -3.28560 0.1 0.1 -0.1
H 3.45682 1.94133 -2.63989 0.0 0.0 -0.2
H 2.23640 2.59189 -0.58784 0.2 0.0 0.1
H 0.71085 -0.10477 -1.03487 -0.1 0.0 -0.2
H 1.36332 1.62634 1.24611 0.2 0.3 0.2
H -0.23596 1.39738 0.89228 -0.3 0.3 0.2
H 0.76583 0.09277 1.33848 -0.1 -0.1 0.0
C -3.35457 -0.82792 0.37417 0.3 -0.2 0.2
C -2.07603 -0.97721 1.14656 -0.4 0.0 0.1
C -1.06828 -1.69913 0.69336 -0.1 0.5 -0.5
O 0.16218 -1.74328 1.28950 0.2 -0.5 0.4
H -3.71056 0.19398 0.46632 -0.1 0.1 -0.2
H -3.20193 -1.08337 -0.66994 -0.1 0.1 -0.2
H -4.11330 -1.49268 0.77839 -0.2 0.0 0.1
H -2.05318 -0.50184 2.11832 0.3 0.0 0.1
H -1.10470 -2.16811 -0.28118 -0.1 -0.1 -0.1
H 0.61498 -2.52890 0.96618 0.2 0.2 0.1
```
Positions in Å, forces in eV/Å.

Computed properties:
**Expectation value of S²**: 0.755
**Max |F|**: 1.4 eV Å⁻¹
**Multiplicity**: 2
**E_tot**: -366.82999 a.u.
**Energy above the lowest of the compared OMol25 structures with the same formula, charge and spin**: 2.719 eV
**Gap between HOMO and LUMO (alpha / beta)**: 3.9648 / 9.0373 eV

Mulliken atomic charge list, values in e, 8 entries:
1 C -1.013
2 C -0.270
3 C -0.491
4 N -0.744
5 H 0.303
6 H 0.252
7 H 0.284
8 H 0.201

Record 3
Formula: C3H8ClNS
Source: the Open Molecules 2025 dataset


Nowadays, golf carts come fitted with all different kinds of gadgets — air conditioning, GPS, coolers — the more features you have on your cart, the more likely your battery will probably run out of juice. If you have a standard cart with the bare minimum, on the other hand, your battery will likely live longer.

As you can see, there are a lot of different factors you should consider when figuring out the life of your golf cart battery. Try to keep an eye on the core issues — these will clue you into how long your battery may last 

How to Prolong the Life of Your Golf Cart Battery 

While it’s helpful to look for those factors that may be contributing to the life of your golf cart battery, you should also find strategies to help you prolong its life. This will give you some control over how long it lasts and give you some confidence about its effectiveness. Investing in a quality product, finding the right charger and preventing corrosion are a few ways you can extend your golf cart battery’s life. 

Find a Quality Product 

Although it might seem tempting to try to find a used battery, it may not offer you the kind of longevity you’re looking for. If you want something you can rely on, try to invest in a quality product that will hold up for the long haul. 

Find a Good Charger

You’ll always want to find a reliable charger — if you have a great battery but your charger is lacking, then you might not be getting its full potential. 

Next to the page, the page also holds records of molecules =
-- begin --
(1)
{
  "formula": "C40H63N7O5P2S",
  "method": "wB97M-V/def2-TZVPD",
  "species": ["N", "H", "O", "H", "C", "H", "H", "H", "H", "H", "H", "H", "H", "H", "C", "C", "H", "O", "C", "C", "H", "H", "H", "H", "C", "H", "C", "H", "H", "C", "H", "H", "H", "C", "C", "H", "C", "H", "C", "C", "H", "H", "H", "H", "H", "O", "N", "C", "H", "H", "C", "C", "H", "C", "N", "C", "H", "C", "C", "H", "H", "C", "H", "P", "N", "H", "H", "H", "P", "H", "C", "O", "S", "O", "H", "H", "H", "H", "N", "C", "C", "N", "H", "C", "C", "H", "C", "C", "H", "C", "C", "H", "C", "C", "H", "H", "H", "H", "H", "H", "H", "H", "C", "H", "C", "C", "N", "C", "H", "H", "H", "C", "H", "H", "C", "C", "C", "H"],
-- stop --
Back to the page =

Prevent Corrosion 

Make sure you’re frequently cleaning your battery and providing maintenance so that you can prevent corrosion from forming. 

How Often Should You Change a Golf Cart Battery? 

Typically, you’ll have to change your golf cart battery from anywhere between five and 10 years. Use the information above to help you determine when the best time to replace your battery is.